********
No. 1
Entry from the Open Molecules 2025 dataset: a molecular structure, C17H27N5O5Ti (ωB97M-V/def2-TZVPD).

Each line ends with the Löwdin charge.
Geometry (Å):
Ti 0.456 -0.480 -0.222  0.790
O -0.001 -1.158 2.471  -0.106
C 1.238 -1.777 2.730  -0.249
C 2.386 -1.211 1.882  -0.176
N 2.199 -1.496 0.456  -0.259
C 2.267 -2.938 0.172  -0.082
C 0.879 -3.641 0.172  -0.671
O 0.898 -4.879 0.236  -0.040
O -0.117 -2.871 0.087  -0.081
C 3.118 -0.746 -0.422  -0.099
C 2.581 -0.887 -1.872  -0.645
O 3.378 -1.061 -2.794  -0.001
O 1.308 -0.821 -1.959  -0.101
H -0.107 -1.158 1.472  0.002
H 1.170 -2.864 2.580  0.110
H 1.469 -1.603 3.785  0.111
H 3.340 -1.632 2.245  0.120
H 2.383 -0.129 2.003  0.098
H 2.933 -3.448 0.875  0.122
H 2.672 -3.097 -0.829  0.129
H 4.148 -1.114 -0.355  0.126
H 3.088 0.311 -0.154  0.109
N 0.826 1.102 0.535  -0.115
C 1.422 2.246 0.232  -0.440
C 1.183 2.957 -0.995  -0.060
C 1.806 4.149 -1.288  -0.153
C 2.714 4.741 -0.405  -0.181
C 2.988 4.076 0.789  -0.167
C 2.365 2.886 1.108  -0.079
H 0.511 2.486 -1.705  0.085
H 1.599 4.643 -2.234  0.081
H 3.205 5.676 -0.653  0.062
H 3.708 4.502 1.483  0.076
H 2.585 2.390 2.049  0.081
C -2.672 1.459 1.058  -0.090
N -3.182 1.024 -0.247  -0.216
C -2.919 2.037 -1.272  -0.099
C -2.680 -0.254 -0.649  -0.423
N -1.370 -0.505 -0.785  -0.017
N -3.699 -1.137 -1.132  -0.192
C -3.198 -2.431 -1.565  -0.107
C -4.828 -1.275 -0.227  -0.129
H -3.115 2.431 1.296  0.067
H -1.581 1.533 1.082  0.055
H -2.987 0.736 1.814  0.077
H -1.849 2.264 -1.365  0.064
H -3.455 2.958 -1.015  0.065
H -3.293 1.669 -2.229  0.077
H -1.168 -1.432 -1.165  0.021
H -2.594 -2.938 -0.798  0.084
H -2.588 -2.308 -2.462  0.087
H -4.049 -3.066 -1.817  0.070
H -5.145 -0.282 0.079  0.065
H -4.575 -1.860 0.675  0.080
H -5.651 -1.776 -0.747  0.064

## Properties
- expectation value of S² = 2.014
- E_tot (Ha) = -2163.46270
- HOMO-LUMO gap (spin up / spin down) (eV) = 3.966 / 5.987
- charge = -2
- spin multiplicity = 3

No. 2
Entry from the Open Molecules 2025 dataset: a single C17H27NO4 molecule (ωB97M-V/def2-TZVPD).

Each line ends with the Löwdin charge.
Geometry (Å):
C -0.143 -2.964 -4.019  -0.059
C 1.017 -3.261 -3.073  -0.239
H 1.407 -4.264 -3.267  0.124
H 1.830 -2.539 -3.217  0.118
O 0.621 -3.307 -1.717  -0.028
C 0.308 -2.152 -1.073  -0.174
C 0.523 -0.876 -1.564  0.041
C 0.208 0.237 -0.795  -0.130
C -0.365 0.074 0.459  0.024
C -0.615 -1.198 0.962  -0.170
C -0.254 -2.328 0.210  -0.113
O -0.445 -3.624 0.575  -0.015
C -0.422 -3.999 1.942  -0.243
C -0.150 -5.495 1.992  -0.061
H -0.927 -6.027 1.451  0.076
H 0.806 -5.715 1.525  0.077
H -0.134 -5.835 3.024  0.074
H -1.384 -3.771 2.416  0.118
H 0.366 -3.450 2.472  0.130
O -1.224 -1.421 2.169  -0.074
C -1.571 -0.321 2.984  -0.257
C -2.186 -0.877 4.259  -0.061
H -1.471 -1.516 4.770  0.078
H -2.471 -0.061 4.918  0.076
H -3.067 -1.466 4.019  0.079
H -0.677 0.272 3.223  0.127
H -2.295 0.323 2.466  0.127
H -0.673 0.939 1.023  0.101
C 0.464 1.575 -1.400  -0.442
O 0.450 1.757 -2.603  0.065
N 0.728 2.566 -0.515  0.089
H 0.807 2.348 0.464  0.135
C 0.998 3.933 -0.912  -0.379
C 2.399 4.336 -0.460  -0.043
H 3.128 3.619 -0.832  0.081
H 2.457 4.361 0.627  0.079
H 2.657 5.317 -0.845  0.071
C -0.091 4.855 -0.347  -0.218
C -0.045 6.260 -0.935  -0.104
H -0.102 6.217 -2.020  0.078
H 0.872 6.773 -0.656  0.064
H -0.885 6.846 -0.570  0.070
H 0.009 4.908 0.740  0.109
H -1.062 4.407 -0.574  0.112
H 0.945 3.936 -2.006  0.142
H 0.947 -0.701 -2.539  0.116
H -0.937 -3.691 -3.864  0.080
H -0.546 -1.971 -3.840  0.070
H 0.200 -3.026 -5.048  0.077

## Properties
- E_tot (Ha) = -1019.68720
- HOMO-LUMO gap (eV) = 8.608
- charge = 0
- energy above the lowest of the compared OMol25 structures with the same formula, charge and spin (kJ/mol) = 117.0
- SMILES = CCOc1cc(C(=O)N[C@H](C)CC)cc(OCC)c1OCC

No. 3
Entry from the Open Molecules 2025 dataset: a molecular structure, C17H28AsBN3O4PdS (ωB97M-V/def2-TZVPD).

Each line ends with the Löwdin charge.
Geometry (Å):
Pd -0.076 0.712 -1.952  0.781
N -0.723 3.017 -5.530  0.080
********

Could you start at the top of the notes above and reproduce each line, ending with the one that has "0.523 -0.876"?

No. 1
Entry from the Open Molecules 2025 dataset: a molecular structure, C17H27N5O5Ti (ωB97M-V/def2-TZVPD).

Each line ends with the Löwdin charge.
Geometry (Å):
Ti 0.456 -0.480 -0.222  0.790
O -0.001 -1.158 2.471  -0.106
C 1.238 -1.777 2.730  -0.249
C 2.386 -1.211 1.882  -0.176
N 2.199 -1.496 0.456  -0.259
C 2.267 -2.938 0.172  -0.082
C 0.879 -3.641 0.172  -0.671
O 0.898 -4.879 0.236  -0.040
O -0.117 -2.871 0.087  -0.081
C 3.118 -0.746 -0.422  -0.099
C 2.581 -0.887 -1.872  -0.645
O 3.378 -1.061 -2.794  -0.001
O 1.308 -0.821 -1.959  -0.101
H -0.107 -1.158 1.472  0.002
H 1.170 -2.864 2.580  0.110
H 1.469 -1.603 3.785  0.111
H 3.340 -1.632 2.245  0.120
H 2.383 -0.129 2.003  0.098
H 2.933 -3.448 0.875  0.122
H 2.672 -3.097 -0.829  0.129
H 4.148 -1.114 -0.355  0.126
H 3.088 0.311 -0.154  0.109
N 0.826 1.102 0.535  -0.115
C 1.422 2.246 0.232  -0.440
C 1.183 2.957 -0.995  -0.060
C 1.806 4.149 -1.288  -0.153
C 2.714 4.741 -0.405  -0.181
C 2.988 4.076 0.789  -0.167
C 2.365 2.886 1.108  -0.079
H 0.511 2.486 -1.705  0.085
H 1.599 4.643 -2.234  0.081
H 3.205 5.676 -0.653  0.062
H 3.708 4.502 1.483  0.076
H 2.585 2.390 2.049  0.081
C -2.672 1.459 1.058  -0.090
N -3.182 1.024 -0.247  -0.216
C -2.919 2.037 -1.272  -0.099
C -2.680 -0.254 -0.649  -0.423
N -1.370 -0.505 -0.785  -0.017
N -3.699 -1.137 -1.132  -0.192
C -3.198 -2.431 -1.565  -0.107
C -4.828 -1.275 -0.227  -0.129
H -3.115 2.431 1.296  0.067
H -1.581 1.533 1.082  0.055
H -2.987 0.736 1.814  0.077
H -1.849 2.264 -1.365  0.064
H -3.455 2.958 -1.015  0.065
H -3.293 1.669 -2.229  0.077
H -1.168 -1.432 -1.165  0.021
H -2.594 -2.938 -0.798  0.084
H -2.588 -2.308 -2.462  0.087
H -4.049 -3.066 -1.817  0.070
H -5.145 -0.282 0.079  0.065
H -4.575 -1.860 0.675  0.080
H -5.651 -1.776 -0.747  0.064

## Properties
- expectation value of S² = 2.014
- E_tot (Ha) = -2163.46270
- HOMO-LUMO gap (spin up / spin down) (eV) = 3.966 / 5.987
- charge = -2
- spin multiplicity = 3

No. 2
Entry from the Open Molecules 2025 dataset: a single C17H27NO4 molecule (ωB97M-V/def2-TZVPD).

Each line ends with the Löwdin charge.
Geometry (Å):
C -0.143 -2.964 -4.019  -0.059
C 1.017 -3.261 -3.073  -0.239
H 1.407 -4.264 -3.267  0.124
H 1.830 -2.539 -3.217  0.118
O 0.621 -3.307 -1.717  -0.028
C 0.308 -2.152 -1.073  -0.174
C 0.523 -0.876 -1.564  0.041